Employment References: What Employers Should Know Before Providing Feedback For Former Employees
In general, employers are not legally prohibited from providing true information about a former employer to a new company they are applying to. The law provides protection from providing honest feedback about work performance of those who worked for them. However, a line can be crossed if a former employer is misrepresentative about that person's work performance or is dishonest about reference information. Doing so can result in a defamation lawsuit if you are found to be untruthful about your former employees. The following are some things to consider when providing information on past employees:
Will the Employee Know You Provided Misrepresentative Information?
In many cases, it is hard for an applicant to find out why he or she did not get a job offer. Employers do not always respond to job applicants that they chose not to hire. If the do decide to respond, their answers for not hiring is short and free of any major details. This will often result in the applicant not having any information that was provided by a former employer.
However, there may be some times when a new employer will share the information with the applicant. He or she then will have the information and determine the validity. If the information is truthful, the former employer will be protected by law. Only proven false information can be used in a defamation case. If you have absolute proof that the former employer is not being honest about you, you should contact an attorney.
What Questions Are Typically Asked When Calling References?
Because of the risk of defamation lawsuits, many human resources departments choose to adopt policies that require management to provide only the most basic information when responding to reference requests. Some companies often choose to provide no more than basic employment verification including start and end dates of employment of their former employees.
There is a drawback to these policies, however. It can limit positive references for those employees who had outstanding work performance and clean work history that would otherwise appreciate that information to be shared with a potential employer. Also, prospective employers may see the lack of a great reference if they do not share the same
When you are asked for a reference for a former employee, always be truthful in what information you provide. Not being honest can result in major legal issues between your business and former employees.
**Misplaced data records**
/*
A cluster of 2 separate species, C4H13NSi in total. Source: OMol25; level of theory: ωB97M-V with the def2-TZVPD basis set.

Each line ends with the Löwdin charge.
Positions of all 19 atoms, in Å:
C: 1.2156 1.6384 -0.8629  -0.16
C: 1.8381 -0.7611 0.0209  -0.13
C: -1.6229 -1.8163 0.1668  -0.23
C: 0.8044 0.4358 -0.0436  -0.51
N: -1.6746 1.1173 -1.2123  -0.13
Si: -0.9551 -0.1251 -0.4258  0.63
H: 1.0751 2.5061 -0.0955  0.11
H: 2.2608 1.5822 -1.1899  0.07
H: 0.5645 1.8693 -1.6524  0.01
H: 1.7595 -1.2951 0.9618  0.05
H: 2.8526 -0.2990 -0.1007  0.07
H: 1.9081 -1.4405 -0.8472  0.07
H: -2.3329 -1.4857 0.8978  -0.02
H: -2.1095 -2.2982 -0.6967  0.02
H: -0.8785 -2.4746 0.7740  0.04
H: 0.7734 0.9449 0.9878  0.11
H: -0.9090 -1.7679 3.0765  0.04
H: -2.5316 1.4281 -1.5931  -0.08
H: -0.7831 -1.0521 2.9404  0.04

## Properties
Energy relative to the best compared isomer or geometry (same formula, charge and spin) ... 2.841 eV
Calculated total energy ... -504.35778 hartree
SMILES ... [H]/N=[Si](\C)C(C)C.[H][H]
Kohn-Sham gap ... 9.44 eV
HOMO level ... -8.78 eV
Lowest unoccupied orbital energy ... 0.7 eV

---

A cluster of 2 separate species, C4H13NSi2 in total. Source: OMol25; level of theory: ωB97M-V with the def2-TZVPD basis set.

Each line ends with the Löwdin charge.
Positions of all 20 atoms, in Å:
C: -2.5526 0.2100 0.3061  -0.27
C: -2.2542 -0.2871 -1.0809  -0.34
C: -1.5324 -0.4151 1.2527  -0.31
C: 3.2266 0.9507 -0.0800  -0.40
N: -0.8280 -0.5123 -1.1775  -0.19
Si: 0.0566 -0.4014 0.2919  0.58
Si: 2.2846 -0.6643 -0.0952  0.37
H: -2.2659 1.2625 0.3284  0.10
H: -3.6133 0.2033 0.5433  0.12
H: -2.9044 -1.2063 -1.3489  0.12
H: -2.6982 0.2541 -2.0186  0.13
H: -1.5333 0.1732 2.1749  0.07
H: -1.9254 -1.3437 1.6298  0.07
H: 3.1200 1.6616 -1.0353  0.07
H: 2.8672 1.5199 0.7961  -0.10
H: 4.2902 0.7005 0.1489  0.02
H: -0.3960 -0.7277 -2.1747  0.15
H: 1.2049 1.6538 1.8019  -0.05
H: 2.6943 -1.5741 1.0322  -0.07
H: 2.7594 -1.4575 -1.2952  -0.07

## Properties
Energy relative to the best compared isomer or geometry (same formula, charge and spin) ... 4.444 eV
Calculated total energy ... -793.78451 hartree
Kohn-Sham gap ... 6.82 eV
HOMO level ... -6.99 eV
Lowest unoccupied orbital energy ... -0.2 eV

---

A structure of composition C4H13NSi2. Source: OMol25; level of theory: ωB97M-V with the def2-TZVPD basis set.

Each line ends with the Löwdin charge.
Positions of all 20 atoms, in Å:
C: 1.5610 -0.7680 -0.6873  -0.26
C: -0.7373 0.9348 -0.8859  -0.41
C: -1.1753 -0.6438 1.7581  -0.22
C: 0.9725 1.6454 2.2078  -0.20
N: -0.5599 -1.6225 -2.4763  -0.10
Si: 0.3124 -0.2461 -2.0535  0.38
Si: 0.0633 0.5398 0.7903  0.74
H: 1.6326 -1.8211 -0.4158  -0.03
H: 2.5173 -0.2147 -0.5620  -0.03
H: -0.7235 1.8905 -1.3239  -0.03
H: -1.8515 0.7104 -0.9410  0.04
H: -1.6628 -1.2917 0.9606  0.04
H: -0.7186 -1.1645 2.5829  0.00
H: -2.0171 -0.0740 2.1621  0.01
H: 0.5155 1.4659 3.2117  0.03
H: 2.0627 1.3721 2.1422  0.02
H: 0.8293 2.6544 1.8013  0.00
H: -1.3920 -1.6433 -3.0693  0.04
*/
To learn more, contact an employment law firm like John Franco Law.